Birds Knit My Ribs Together has a meditational quality, timeless as nature itself, where we experience Barnett’s intimacy with birds. It’s a sharply observed, linguistically lively, lyrical collection which focuses almost exclusively on his deep and long-lasting relationship with avian life. This is a world almost entirely swept clean of people, and with the exception of a handful of poems, of other animals too.

A successful photographer, naturalist and artist, Barnett suffered a decade of illness which confined him to his living room. His world became the view through the window. He swapped the people, job, relationships and fully working body of his previous life for a garden full of birds which kept him company through his illness. Much perhaps can be explained by this.

In ‘Curse’

earth’s core pulls me towards itself
. . . life, I curse you too
you punctured me
the air that rushed out was all that I had . . .”

Barnett relishes nature as a healing place where he can be alone with his thoughts. Alone, perhaps, but not lonely. In ‘Set the Air’ –

Attached: quantum chemistry results.
+++
(1)
Density functional theory data (the ωB97M-V functional and the def2-TZVPD basis) for the molecule C4H9NO at a distorted geometry.

Energy above the lowest of the compared OMol25 structures with the same formula, charge and spin: 66.70 kJ/mol
LUMO energy: 0.8 eV
HOMO-LUMO gap: 0.379 Eh
E_tot: -287.8070 Ha
Molar mass: 87.12 g mol⁻¹
SMILES: CC(C)C(N)=O

Each atom is followed by the atoms it is bonded to, with distances in Å.
Element x y z (Å)
1 C 0.779 0.756 -1.369  C2 1.528, H7 1.088, H8 1.091, H9 1.088
2 C 0.479 0.001 -0.075  C1 1.528, C3 1.522, C4 1.511, H10 1.179
3 C 0.226 0.956 1.082  C2 1.522, H11 1.089, H12 1.089, H13 1.092
4 C -0.589 -1.044 -0.300  C2 1.511, N5 1.348, O6 1.231
5 N -1.404 -1.397 0.713  C4 1.348, H14 1.003, H15 1.007
6 O -0.343 -1.818 -1.225  C4 1.231
7 H 0.959 0.056 -2.182  C1 1.088
8 H -0.059 1.403 -1.632  C1 1.091
9 H 1.680 1.357 -1.262  C1 1.088
10 H 1.280 -0.861 -0.006  C2 1.179
11 H 0.998 1.724 1.105  C3 1.089
12 H 0.213 0.455 2.049  C3 1.089
13 H -0.728 1.473 0.952  C3 1.092
14 H -1.461 -0.887 1.575  N5 1.003
15 H -2.030 -2.174 0.576  N5 1.007

Here are the natural (NBO) charges for atoms 1 to 6, given in e: number 1, C, carries -0.601; number 2, C, carries -0.311; number 3, C, carries -0.625; number 4, C, carries 0.659; number 5, N, carries -0.816; number 6, O, carries -0.643

=====

(2)
Density functional theory data (the ωB97M-V functional and the def2-TZVPD basis) for a cluster of 20 separate species, C37H114O20 in total at a distorted geometry.

LUMO energy: 0.6 eV
HOMO-LUMO gap: 0.365 Eh
E_tot: -2982.6060 Ha
Molar mass: 879.30 g mol⁻¹

Each atom is followed by the atoms it is bonded to, with distances in Å.
Element x y z (Å)
1 C -2.485 5.673 -0.118  C2 1.504, H4 1.064, H5 1.159, H6 1.122
2 C -2.279 4.220 -0.445  C1 1.504, O3 1.443, H7 1.084, H8 1.083
3 O -1.149 3.666 0.260  C2 1.443, H9 0.995
4 H -1.633 6.260 -0.366  C1 1.064
5 H -2.393 5.921 1.010  C1 1.159
6 H -3.408 6.172 -0.518  C1 1.122
7 H -2.084 4.187 -1.511  C2 1.084
8 H -3.210 3.712 -0.227  C2 1.083
9 H -1.336 3.871 1.215  O3 0.995
10 C 2.487 4.360 2.447  C11 1.449, H13 1.083, H14 1.155, H15 1.084
11 C 1.266 5.132 2.560  C10 1.449, O12 1.412, H16 1.067, H17 1.095
12 O 1.074 6.031 1.488  C11 1.412, H18 0.934
13 H 3.320 5.051 2.466  C10 1.083
14 H 2.487 3.695 1.504  C10 1.155
15 H 2.674 3.751 3.324  C10 1.084
16 H 1.226 5.629 3.504  C11 1.067
17 H 0.344 4.544 2.493  C11 1.095
18 H 1.646 6.753 1.641  O12 0.934
19 C 5.408 0.164 1.241  C20 1.564, H22 1.193, H23 1.098, H24 1.117
20 C 5.600 -0.162 -0.277  C19 1.564, O21 1.393, H25 1.089, H26 1.075
21 O 4.466 0.087 -1.045  C20 1.393, H27 0.948
22 H 5.506 1.351 1.306  C19 1.193
23 H 6.133 -0.266 1.945  C19 1.098
24 H 4.372 -0.080 1.576  C19 1.117
25 H 5.644 -1.247 -0.351  C20 1.089
26 H 6.461 0.378 -0.632  C20 1.075
27 H 4.292 1.013 -0.943  O21 0.948
28 C -1.405 -1.417 4.349  C29 1.487, H31 1.106, H32 1.052, H33 1.142
29 C -1.032 -0.144 3.676  C28 1.487, O30 1.424, H34 1.119, H35 1.101
+++

“I came this way yesterday
but through different fields
not spider-worked like these

they were there, yes
but not on the planet we know
with people, dogs, roads and bottles.

The poems are often joyously inventive. In ‘Facts’

. . . this morning
a barn owl flew the moon home
and a wood pigeon clapped twice
to hey-presto the sun
landscape’s liquid bubbled up
and set as silhouetted deer

I might have wished for greater variety of subject, but what Barnett has achieved here is an impressive depth of focus; a philosophical duet between himself and his family of birds.

Some of these poems offer insights into how illness can loosen the habit of seeing things through the prism of utility. In ‘Just Sitting’, the poet is too ill to venture out, but

. . . here in this garden I’ll let nature wait on me
hand and foot, and all the senses . . .

I’m rooted to the spot, but I have roots
today I cannot walk
everything is here

There’s a tantalizing glimpse of Barnett as a child looking out of the window ‘not in a human way but like a blackbird looking for worms’. I’d like to have seen more poems such as ‘Coastal Footpath’ where people take their place within the landscape:

all these plucked lives,
these men, women, children
now held up like flowers

on the coastal footpath
as they go past the window,
fleshed out shadows all

with an angle to the ground,
accounting for conditions
correcting for the slope

Barnett’s tenderness is for wildlife. In ‘Wounds’, he finds an injured bird –

. . . picked it up, cupped
as if holding a fledgling angel
this lost jigsaw piece of sky
this little god of hurt
with scar tissue dreams
turning wounds into stories

it lifted a wing, pleading
I pulled out a thorn
jabbed it into my heart

The language of these poems is versatile and sonorous. A storm ‘sabers rain as a weapon’; and the weather hits ‘with wind-slap-spite’; a doe ‘steps out, like a bather caught unaware sees me and dresses fast in the robe of its caution’; an owl makes ‘a vortex of itself spiral tightened down by the pull of the volewise grass’. He captures jackdaws with a single brush stroke:

yesterday, a tight flock,
a thunder cloud’s worth
of omens . . .

Birds Knit My Ribs Together has been praised by TV naturalist, Chris Packham, who shares Barnett’s ability for total emersion in a subject – ‘the poems reside in nature but Phil resides within them and their flesh is readable. It’s like he’s tattooed them on his chest.’

At his best, Barnett seduces us with illuminating imagery and offers moments where we can step out of our static selves and fly. In ‘We Give What We Can’, he incants:

. . . cross my palm with robin
just one pin, just one needle
tiny claw-prickle human hand
blood-orange-bib bird
across my heart line
along my love line

this pumpkin-sky morning
sunrise has trusted me
with a fragment of itself

we give what gifts we can
me, a crumb of cheese
the robin, one drop of life’s spittle . . .

When poets write from the core of their beings, good things arise. Anyone fascinated by wild life and the wonderment it can inspire would do well to add this collection to their bookshelves.

Birds Knit My Ribs Together is available at £9.99 +p&p from Arachne Press. Also available as an e-book.



Claire Booker lives in Brighton. Her latest collection is A Pocketful of Chalk (Arachne Press 2022). She won the Poetry Society’s 2023 Stanza Competition and was long-listed this year in The National Poetry Competition. You can find out more at